Documents and their names

When studying genealogy and doing genealogy research, you have to deal with various documents. All documents have their own name, and some after many years have received more than one name. One document could be called differently, which can confuse a researcher who has just begun to study the history of his family. Let’s see what’s what.

So far, cases have been considered when a document was called primarily by a simple term (Letter, Record, Memory) without combination with definitions. In such names, the features of individual genres and types of document are particularly distinct.

What comes next are calculated molecules, not part of the entry:
********
[1]
The following is a DFT calculation (ωB97M-V/def2-TZVPD) of an isolated ion of composition C4HO3 and charge -1 at a distorted geometry.

Positions of all 8 atoms, in Å:
C 0.4316 -0.4710 -0.3076
C 0.0553 -0.2443 0.9614
C -0.3220 0.3076 2.0312
C -0.0127 0.3052 -1.5170
O -1.0279 -0.4193 -1.7513
O -0.3238 0.6287 3.1869
O 0.3802 1.3379 -2.0088
H 0.8193 -1.4448 -0.5947

## Properties
HOMO energy (spin up / spin down)	-2.2 / -4.4	eV
expectation value of S²	2.025
electronic energy	-10303.8743	eV
2S+1	3
total charge	-1
E_LUMO (spin up / spin down)	3.94 / 2.03	eV
gap between HOMO and LUMO (spin up / spin down)	6.131 / 6.433	eV
energy relative to the best compared isomer or geometry (same formula, charge and spin)	0.000	eV

The net atomic charges from Löwdin, expressed in e, are: atom 1 (C): -0.089, atom 2 (C): -0.007, atom 3 (C): -0.264, atom 4 (C): -0.731, atom 5 (O): -0.036, atom 6 (O): 0.022, atom 7 (O): 0.013, atom 8 (H): 0.093

[2]
The following is a DFT calculation (ωB97M-V/def2-TZVPD) of C4Li2O2 as an isolated structure at a distorted geometry.

Positions of all 8 atoms, in Å:
C -1.7240 0.1626 -1.0441
C -0.7812 -0.5957 -0.6800
C 0.3917 -0.8690 -0.0880
C 1.5035 -0.6060 0.4492
O -2.3005 1.2706 -1.0862
Li -3.1717 2.1828 -1.1402
O 2.5792 -0.6623 1.0204
Li 3.5030 -0.8830 2.5689

## Properties
HOMO energy (spin up / spin down)	-11.3 / -11.1	eV
expectation value of S²	0.770
electronic energy	-8642.1078	eV
2S+1	2
total charge	+1
E_LUMO (spin up / spin down)	-3.93 / -5.02	eV
gap between HOMO and LUMO (spin up / spin down)	7.389 / 6.068	eV
energy relative to the best compared isomer or geometry (same formula, charge and spin)	0.000	eV

The net atomic charges from Löwdin, expressed in e, are: atom 1 (C): -0.143, atom 2 (C): 0.007, atom 3 (C): 0.008, atom 4 (C): -0.223, atom 5 (O): -0.128, atom 6 (Li): 0.695, atom 7 (O): -0.106, atom 8 (Li): 0.890

=====

Record 1
A gas-phase ion, C5H15N2 (charge +1) at a distorted geometry, computed with ωB97M-V/def2-TZVPD.

Summary:
energy above the lowest of the compared OMol25 structures with the same formula, charge and spin = 40.90 kcal per mole
highest occupied orbital energy = -13.7 eV
LUMO level = -0.102 hartree
SMILES string = CC[N@H+](C)CCN
spin multiplicity = 1
total charge = +1

Last column: Mulliken charge in e.
Positions of all 22 atoms, in Å:
N1 -0.629 1.792 -1.400  -0.55
N2 0.262 -0.155 0.416  -0.10
C1 -0.425 1.125 0.963  -0.52
C2 -0.449 -1.256 -0.203  -0.23
C3 0.566 -2.210 -0.810  -1.42
C4 -1.337 1.686 -0.143  -0.73
C5 1.475 -0.446 1.327  -0.78
H1 0.696 0.283 -0.466  0.48
H2 -1.103 -1.834 0.550  0.34
H3 0.138 2.469 -1.487  0.20
H4 -1.158 -0.884 -1.002  0.35
H5 1.929 -1.398 0.998  0.36
H6 2.163 0.338 1.334  0.30
H7 -0.860 0.935 1.963  0.40
H8 0.447 1.864 0.986  0.33
H9 -1.740 2.718 0.103  0.41
H10 -2.137 1.007 -0.173  0.42
H11 -1.168 2.031 -2.240  0.23
H12 0.160 -2.724 -1.724  0.30
H13 0.818 -3.005 -0.156  0.43
H14 1.553 -1.824 -1.074  0.41
H15 0.797 -0.512 2.238  0.36


Record 2
********

However, the document’s names are more often found in the form of a combination with the adjective: Blessed Letter, Verchaya Record, West Memorial, Borrowed Cabal, Name Painting, etc. We consider it appropriate to consider such self-designations of documents to be difficult.

It happens that the self-name of a document is, as it were, “scattered” in its parts, but it is advisable to reduce these parts into a single, whole name. So, in one place of the text part of the document we see the word Pokrutnaya, and in the other – the Record (Mem. Sib. Source., Pp. 217-220) 1703. In one part of the document we see the combination of Polyubovy boundary, and in the other part – Memory (ASVR, II, pp. 172-174) 1482. The same author named the document first, the Record, and then called the same document Clearing (M-ly IYUKD, III, pp. 74-75) 1686. In another case in the text part the document is called the Receipt, and in the processing part the same document is called the Receipt, then the Ordinary. There are many such cases.

For research purposes, it is useful to combine these names scattered throughout the document into a single whole: Turn-by-turn record, Amicable boundary memory, Clear record, Ordinary receipt. Such phrases are referred to as compound terms.

The concepts of a simple, complex and compound document title are also needed in order not to mix a separate document and a combination of documents in one case. These concepts may be useful in compiling document inventories for archivists.

The different names of one document is a fairly common phenomenon, and linguists could not help but pay attention to it. Judgments on this subject are unanimous: the reason for the different names of one document must be seen in synonymy, due to the fact that the language of the pre-Petrine era is not well established and in different cases, including in the names of documents, uses different vocabulary. This point of view was most clearly manifested in the monograph of F.P. Sergeyev, who writes: “… Many of the one-word terms functioned as synonyms (or as equivalent designations) for long-standing borrowing of a letter: sheet – letter – message – scripture – label; cf. also note – tsidulka – letter, etc. [p.211].

Good luck in finding.